Can I insist on having car fixed at garage of my choice?


Registered User
Not sure if this should be here or in the Law section. My car was damaged recently and other party is offering to repair, but at a garage of their choice. Can I insist on having it done locally at a garage of my choice? I would need replacement car while being repaired.
You don't know that garage chosen by the other party would do a good enough job; the other party does not know that the garage of your choice will do a cheap enough job.

The only way forward that I can see (without the trouble and cost of legal action) is a discussion where both parties are somewhat open-minded. I would suggest that you offer to get more than one quote, and that you check out the reputation of the garage proposed by the other party.

### Someone pasted calculated crystals at this point
+++
Compound: AsP
Source: Alexandria via LeMat-Bulk
Functional: PBE
Structure: optimized geometry

Cell: 7.1222 7.1222 7.1222 Å, 90.00 90.00 90.00°
Last column: nearest neighbours and their distance in Å.
Sites, in units of the cell vectors:
As1 0.0000 0.2500 0.5000  4 P 2.52
As2 0.0000 0.7500 0.5000  4 P 2.52
As3 0.2500 0.5000 0.0000  4 P 2.52
As4 0.5000 0.0000 0.2500  4 P 2.52
As5 0.5000 0.0000 0.7500  4 P 2.52
As6 0.7500 0.5000 0.0000  4 P 2.52
P1 0.0000 0.5000 0.2500  4 As 2.52
P2 0.0000 0.5000 0.7500  4 As 2.52
P3 0.2500 0.0000 0.5000  4 As 2.52
P4 0.5000 0.2500 0.0000  4 As 2.52
P5 0.5000 0.7500 0.0000  4 As 2.52
P6 0.7500 0.0000 0.5000  4 As 2.52

Calculated values
The magnetization is 0.00 Bohr magnetons per cell. The value obtained for the density of states at the Fermi level is 1.52 states/eV/f.u. Its energy above the lowest structure with this stoichiometry is 0.87 eV/f.u. The energy of formation is 0.4890 eV/atom. As for the total DFT energy (no corrections): -4.5407 eV per atom.

~~~~~

1.
Below is an optimized crystal structure of Ba6Pd2SeI3, with properties calculated at the PBE-GGA level.

Geometry as POSCAR:
```
Ba6Pd2SeI3
1.0
8.227 0.000 -0.001
-4.111 7.125 -0.001
-1.374 -2.378 8.591
I Ba Se Pd
3 6 1 2
Direct
0.837 0.163 0.500 I
0.500 0.500 0.500 I
0.163 0.837 0.500 I
0.067 0.408 0.204 Ba
0.408 0.067 0.204 Ba
0.273 0.273 0.796 Ba
0.727 0.727 0.204 Ba
0.933 0.592 0.796 Ba
0.592 0.933 0.796 Ba
0.000 0.000 0.000 Se
0.333 0.667 0.000 Pd
0.667 0.333 0.000 Pd
```

Calculated values
energy	-0.2731	Ry/atom
ΔE_f (raw)	-1.210	eV/atom


2.
Below is an optimized crystal structure of LiOsBr2, with properties calculated at the PBE-GGA level.

Geometry as POSCAR:
```
LiOsBr2
1.0
6.368 1.046 -0.884
5.152 3.885 -0.884
0.809 0.346 4.974
Os Li Br
1 1 2
Direct
0.250 0.250 0.250 Os
0.750 0.750 0.750 Li
0.401 0.401 0.517 Br
0.099 0.099 0.983 Br
```

Calculated values
energy relative to the lowest polymorph listed for this composition	0.159	eV per atom
energy	-0.2851	Ry/atom
ΔE_f (raw)	0.244	eV/atom


3.
Below is an optimized crystal structure of SrPaSn2, with properties calculated at the PBE-GGA level.

Geometry as POSCAR:
```
SrPaSn2
1.0
-0.435 2.072 -2.472
-5.444 -2.098 -0.800
-2.103 4.027 3.746
Pa Sn Sr
1 2 1
Direct
0.500 0.000 0.000 Pa
0.000 0.000 0.500 Sn
0.000 0.500 0.000 Sn
0.500 0.500 0.500 Sr
```

Calculated values
energy relative to the lowest polymorph listed for this composition	0.053	eV per atom
calculated formation energy	-0.293	eV per atom
energy	-0.3740	Ry/atom


4.
Below is an optimized crystal structure of Nd2Y5HoTm, with properties calculated at the PBE-GGA level.

Geometry as POSCAR:
```
Nd2Y5HoTm
1.0
-5.853 5.333 3.349
-5.493 -2.088 -6.276
2.828 -7.547 5.925
Tm Y Nd Ho
2 10 4 2
Direct
0.750 0.750 0.500 Tm
0.250 0.250 0.500 Tm
0.500 0.500 0.000 Y
0.853 0.928 0.281 Y
0.647 0.147 0.719 Y
0.000 0.000 0.000 Y
0.072 0.572 0.719 Y
0.928 0.428 0.281 Y
0.353 0.853 0.281 Y
0.572 0.647 0.719 Y
0.147 0.072 0.719 Y
0.428 0.353 0.281 Y
+++

totally agree, but also think that the level/quality of work be agreed and reviewed when carried out.
Thanks for your replies. I am still unclear as to my position. If the other party takes responsibility can I insist on a garage that I am happy with. I don't mind getting other quotes but in the end of the day can I insist, after all I am the wronged party. I know I can claim through my insurance and let them follow his insurance company but he doesn't want this either. My car is not usable until I can get it fixed so I need to to sort it soon.
Thanks for your replies. I am still unclear as to my position. If the other party takes responsibility can I insist on a garage that I am happy with...

It's still think it's a negotiation matter. I think you can insist on using some garage that you are happy with, but not limit it to one particular garage. Similarly, the other party should not be entitled to limit your choices to one particular garage. If you can't move beyond your having one preference each, then you might need to go the legal route, involving costs, bother, and (most unwelcome to you, I think) delay.
You can use whatever garage you want. If he gets overly awkward, put it through his insurance. If the quote is excessive, the insurance company may query it.
You can go to whichever autobody repair you so choose. I had a recent incident and went to one that insurance companies generally do alot of work with... Id suggest that if the person is playing silly beggars at this early stage - just go through the insurance.
Hi , I agree totally with Seagull
You can use whatever garage you want. If he gets overly awkward, put it through his insurance. If the quote is excessive, the insurance company may query it.

The other party wants the job done as cheaply as possible ( human nature) which probably means less than you would like.

You are entitled to have the car, as near as possible, restored to its previous condition and remember that when you go to sell later , the damage ,to a trained eye, will still be impossible to hide
I work in insurance claims. you are entitled to go to any garage that you want to, and I would if I was you. If it goes through the other parties insurance then depending on how much it is they may send out an assessor or pass it by an in house assessor. Usually with most insurance companies if the estimate is below approx €1500 then the claims handler can pass this themselves. By the way you dont have to produce an invoice(ie you have no obligation to actually repair your car). Do not be bullied by the other party
My car is not usable until I can get it fixed so I need to to sort it soon.

If the other is 100% at fault, go through insurance company. It should not impact your NCD nor cost your anything. Your NCD may be protected anyway, and you may be entitled to courtesy car.
Ring the responsible party and give them the choice of 2 main dealers and 2 crash repair shops used by insurance companies. Demand an immediate decision, or else you will add car rental separately. This is as reasonable as you need to be. As someone else said, if they continue demanding that you go through their choice of repair shop, just have the repair done through their insurance.